{"formula": "LiFeF3", "functional": "PBE+U", "state": "relaxed", "formation_energy_ev_per_atom": -2.41, "relative_energy_mev_per_atom": 391.6, "total_energy_ev_per_cell": -49.0, "space_group": "C222_1, No. 20", "cell": [[2.583, -4.362, 0.000], [2.583, 4.362, 0.000], [0.000, 0.000, 4.832]], "species": ["Li", "Li", "Fe", "Fe", "F", "F", "F", "F", "F", "F"], "frac_coords": [[0.001, 0.999, 0.750], [0.999, 0.001, 0.250], [0.335, 0.665, 0.250], [0.665, 0.335, 0.750], [0.008, 0.686, 0.499], [0.314, 0.992, 0.001], [0.318, 0.318, 0.500], [0.682, 0.682, 0.000], [0.686, 0.008, 0.501], [0.992, 0.314, 0.999]]}

{"formula": "LiFeF3", "functional": "PBE+U", "state": "relaxed", "formation_energy_ev_per_atom": -2.57, "relative_energy_mev_per_atom": 223.4, "total_energy_ev_per_cell": -50.7, "space_group": "R-3, No. 148", "cell": [[2.587, 1.494, 4.856], [-2.587, 1.494, 4.856], [0.000, -2.988, 4.856]], "species": ["Li", "Li", "Fe", "Fe", "F", "F", "F", "F", "F", "F"], "frac_coords": [[0.145, 0.145, 0.145], [0.855, 0.855, 0.855], [0.346, 0.346, 0.346], [0.654, 0.654, 0.654], [0.058, 0.756, 0.435], [0.244, 0.565, 0.942], [0.435, 0.058, 0.756], [0.565, 0.942, 0.244], [0.756, 0.435, 0.058], [0.942, 0.244, 0.565]]}

{"formula": "LiFe2F7", "functional": "PBE+U", "state": "relaxed", "formation_energy_ev_per_atom": -2.68, "relative_energy_mev_per_atom": 58.2, "total_energy_ev_per_cell": -102.6, "space_group": "P2/c, No. 13", "cell": [[5.583, 0.000, 0.000], [0.000, 5.185, 0.000], [-1.550, 0.000, 9.987]], "species": ["Li", "Li", "Fe", "Fe", "Fe", "Fe", "F", "F", "F", "F", "F", "F", "F", "F", "F", "F", "F", "F", "F", "F"], "frac_coords": [[0.000, 0.057, 0.250], [0.000, 0.943, 0.750], [0.424, 0.250, 0.570], [0.424, 0.750, 0.070], [0.576, 0.250, 0.930], [0.576, 0.750, 0.430], [0.153, 0.100, 0.623], [0.153, 0.900, 0.123], [0.285, 0.432, 0.987], [0.285, 0.568, 0.487], [0.361, 0.061, 0.392], [0.361, 0.939, 0.892], [0.500, 0.403, 0.750], [0.500, 0.597, 0.250], [0.639, 0.061, 0.108], [0.639, 0.939, 0.608], [0.715, 0.432, 0.513], [0.715, 0.568, 0.013], [0.847, 0.100, 0.877], [0.847, 0.900, 0.377]]}

{"formula": "Li2FeF6", "functional": "PBE+U", "state": "relaxed", "formation_energy_ev_per_atom": -2.63, "relative_energy_mev_per_atom": 0.0, "total_energy_ev_per_cell": -84.9, "space_group": "P4_2/mnm, No. 136", "cell": [[4.768, 0.000, 0.000], [0.000, 4.768, 0.000], [0.000, 0.000, 8.878]], "species": ["Li", "Li", "Li", "Li", "Fe", "Fe", "F", "F", "F", "F", "F", "F", "F", "F", "F", "F", "F", "F"], "frac_coords": [[0.000, 0.000, 0.154], [0.000, 0.000, 0.846], [0.500, 0.500, 0.346], [0.500, 0.500, 0.654], [0.000, 0.000, 0.500], [0.500, 0.500, 0.000], [0.185, 0.185, 0.347], [0.185, 0.185, 0.653], [0.211, 0.211, 0.000], [0.289, 0.711, 0.500], [0.315, 0.685, 0.153], [0.315, 0.685, 0.847], [0.685, 0.315, 0.153], [0.685, 0.315, 0.847], [0.711, 0.289, 0.500], [0.789, 0.789, 0.000], [0.815, 0.815, 0.347], [0.815, 0.815, 0.653]]}

{"formula": "LiFeF3", "functional": "PBE+U", "state": "relaxed", "formation_energy_ev_per_atom": -2.72, "relative_energy_mev_per_atom": 77.8, "total_energy_ev_per_cell": -52.2, "space_group": "P2_1/m, No. 11", "cell": [[4.041, 0.000, 0.000], [0.000, 5.809, 0.000], [-1.886, 0.000, 5.238]], "species": ["Li", "Li", "Fe", "Fe", "F", "F", "F", "F", "F", "F"], "frac_coords": [[0.189, 0.250, 0.064], [0.811, 0.750, 0.936], [0.018, 0.750, 0.503], [0.982, 0.250, 0.497], [0.123, 0.008, 0.798], [0.123, 0.492, 0.798], [0.460, 0.250, 0.436], [0.540, 0.750, 0.564], [0.877, 0.508, 0.202], [0.877, 0.992, 0.202]]}

Please duplicate the rows earlier on without additions.

{"formula": "LiFeF3", "functional": "PBE+U", "state": "relaxed", "formation_energy_ev_per_atom": -2.41, "relative_energy_mev_per_atom": 391.6, "total_energy_ev_per_cell": -49.0, "space_group": "C222_1, No. 20", "cell": [[2.583, -4.362, 0.000], [2.583, 4.362, 0.000], [0.000, 0.000, 4.832]], "species": ["Li", "Li", "Fe", "Fe", "F", "F", "F", "F", "F", "F"], "frac_coords": [[0.001, 0.999, 0.750], [0.999, 0.001, 0.250], [0.335, 0.665, 0.250], [0.665, 0.335, 0.750], [0.008, 0.686, 0.499], [0.314, 0.992, 0.001], [0.318, 0.318, 0.500], [0.682, 0.682, 0.000], [0.686, 0.008, 0.501], [0.992, 0.314, 0.999]]}

{"formula": "LiFeF3", "functional": "PBE+U", "state": "relaxed", "formation_energy_ev_per_atom": -2.57, "relative_energy_mev_per_atom": 223.4, "total_energy_ev_per_cell": -50.7, "space_group": "R-3, No. 148", "cell": [[2.587, 1.494, 4.856], [-2.587, 1.494, 4.856], [0.000, -2.988, 4.856]], "species": ["Li", "Li", "Fe", "Fe", "F", "F", "F", "F", "F", "F"], "frac_coords": [[0.145, 0.145, 0.145], [0.855, 0.855, 0.855], [0.346, 0.346, 0.346], [0.654, 0.654, 0.654], [0.058, 0.756, 0.435], [0.244, 0.565, 0.942], [0.435, 0.058, 0.756], [0.565, 0.942, 0.244], [0.756, 0.435, 0.058], [0.942, 0.244, 0.565]]}

{"formula": "LiFe2F7", "functional": "PBE+U", "state": "relaxed", "formation_energy_ev_per_atom": -2.68, "relative_energy_mev_per_atom": 58.2, "total_energy_ev_per_cell": -102.6, "space_group": "P2/c, No. 13", "cell": [[5.583, 0.000, 0.000], [0.000, 5.185, 0.000], [-1.550, 0.000, 9.987]], "species": ["Li", "Li", "Fe", "Fe", "Fe", "Fe", "F", "F", "F", "F", "F", "F", "F", "F", "F", "F", "F", "F", "F", "F"], "frac_coords": [[0.000, 0.057, 0.250], [0.000, 0.943, 0.750], [0.424, 0.250, 0.570], [0.424, 0.750, 0.070], [0.576, 0.250, 0.930], [0.576, 0.750, 0.430], [0.153, 0.100, 0.623], [0.153, 0.900, 0.123], [0.285, 0.432, 0.987], [0.285, 0.568, 0.487], [0.361, 0.061, 0.392], [0.361, 0.939, 0.892], [0.500, 0.403, 0.750], [0.500, 0.597, 0.250], [0.639, 0.061, 0.108], [0.639, 0.939, 0.608], [0.715, 0.432, 0.513], [0.715, 0.568, 0.013], [0.847, 0.100, 0.877], [0.847, 0.900, 0.377]]}

{"formula": "Li2FeF6", "functional": "PBE+U", "state": "relaxed", "formation_energy_ev_per_atom": -2.63, "relative_energy_mev_per_atom": 0.0, "total_energy_ev_per_cell": -84.9, "space_group": "P4_2/mnm, No. 136", "cell": [[4.768, 0.000, 0.000], [0.000, 4.768, 0.000], [0.000, 0.000, 8.878]], "species": ["Li", "Li", "Li", "Li", "Fe", "Fe", "F", "F", "F", "F", "F", "F", "F", "F", "F", "F", "F", "F"], "frac_coords": [[0.000, 0.000, 0.154], [0.000, 0.000, 0.846], [0.500, 0.500, 0.346], [0.500, 0.500, 0.654], [0.000, 0.000, 0.500], [0.500, 0.500, 0.000], [0.185, 0.185, 0.347], [0.185, 0.185, 0.653], [0.211, 0.211, 0.000], [0.289, 0.711, 0.500], [0.315, 0.685, 0.153], [0.315, 0.685, 0.847], [0.685, 0.315, 0.153], [0.685, 0.315, 0.847], [0.711, 0.289, 0.500], [0.789, 0.789, 0.000], [0.815, 0.815, 0.347], [0.815, 0.815, 0.653]]}

{"formula": "LiFeF3", "functional": "PBE+U", "state": "relaxed", "formation_energy_ev_per_atom": -2.72, "relative_energy_mev_per_atom": 77.8, "total_energy_ev_per_cell": -52.2, "space_group": "P2_1/m, No. 11", "cell": [[4.041, 0.000, 0.000], [0.000, 5.809, 0.000], [-1.886, 0.000, 5.238]], "species": ["Li", "Li", "Fe", "Fe", "F", "F", "F", "F", "F", "F"], "frac_coords": [[0.189, 0.250, 0.064], [0.811, 0.750, 0.936], [0.018, 0.750, 0.503], [0.982, 0.250, 0.497], [0.123, 0.008, 0.798], [0.123, 0.492, 0.798], [0.460, 0.250, 0.436], [0.540, 0.750, 0.564], [0.877, 0.508, 0.202], [0.877, 0.992, 0.202]]}